Hempstead Speeding-Related Driving Accidents

In New York and across the nation, motorists routinely drive faster than the posted speed limit or too fast for road conditions. As normal as drivers treat speeding, it is exceedingly dangerous. Victims of speeding drivers pay a heavy price.

In this post, we explore the dangers of speeding, who is most likely to speed, and how a Hempstead car accident lawyer can help you recover damages if a speeding driver injured you.

The Unacceptable Dangers of Speeding in Hempstead

It was a horrifying tragedy: Recently, an injured eight-year-old boy watched his mother die on Meadowbrook Parkway in Hempstead after the vehicle that they were riding in was rear-ended by a vehicle that authorities say was driven by a drunk driver at about 100 miles per hour at the time of the crash. The drunk driver now faces criminal charges, but prosecution alone cannot deliver the justice the speeding drunk driver’s victims deserve. New York law also entitles them to significant compensation.

This was not an isolated incident. Speeding plays a contributing role in around one-third of all fatal motor vehicle accidents and the deaths of more than 9,000 people in the United States each year.

Speeding is so dangerous because:

  • It increases the risk of a driver losing control of a vehicle.
  • It decreases the effectiveness of a vehicle’s safety features—including the steel frame, seatbelts, and airbags—to work less effectively.
  • It reduces the amount of time that a driver has to see and perceive a hazard in the roadway.
  • It lengthens the distance is required to come to a safe stop after the driver sees and perceives danger and presses on the brakes.
  • It dramatically increases the force of the impact and the severity of damage caused by a collision. The risk of death increases exponentially with every mile-per-hour increase in speed. At 55 miles per hour, drivers have an 80 percent higher chance of dying in a crash than drivers traveling at 25 miles per hour.

Speeding becomes even more dangerous in inclement weather, because slick road surfaces further lengthen stopping distance and heighten the risk of a loss of control. Speeding on dry roads is a factor in 16 percent of fatal motor vehicle accidents. However, speeding accounts for 37 percent of all fatal motor vehicle accidents that occur on snow or slush, or on roadways where there is standing or moving water. 41 percent of fatal motor vehicle accidents that occur on icy or frosted roads are the result of speeding, as well as 45 percent on mud, dirt, or gravel roads.

Some People Speed More Than Others in Hempstead

Any driver may drive too fast. However, some people are more likely to speed than others. Included in these groups are:

  • Males. Male drivers of all ages are more likely than females to get into a fatal, speeding-related crash.
  • Young drivers. 31 percent of male drivers in the 15- to  20-year-old age bracket who were involved in a fatal motor vehicle crash were speeding at the time of the crash, along with 18 percent of female drivers in this age group.
  • Impaired drivers. Alcohol impairment was found in 37 percent of the drivers involved in speed-related fatal crashes, as compared to 16 percent of drivers involved in non-speeding crashes.
  • Repeat offenders: Drivers who are involved in speed-related fatal accidents are more likely to have a previously recorded crash in their driving history, a previous conviction for driving while impaired, a previously recorded conviction for speeding, or a previously recorded suspension or revocation of their license.
  • Motorcycle riders: More motorcyclists involved in fatal crashes were speeding than drivers of passenger cars involved in fatal crashes.
  • Nighttime drivers: Fatal accidents related to speed are far more likely to happen during hours of darkness than they are during the daytime.

Why People Speed in Hempstead

The National Highway Traffic Safety Administration (NHTSA) has found that people choose to speed because of:

  • Traffic congestion: Many drivers respond to traffic through aggressive driving behaviors such as speeding, erratic lane changes, tailgating, and running red lights.
  • Running late: Time pressures give drivers a reason to speed. Running late for work, an appointment, or an event is a common reason cited by drivers for driving too fast.
  • Anonymity: Drivers feel safe within the isolated bubbles of their own vehicles, which can make speeding seem like a victimless traffic violation, even though it isn’t.
  • Disregard for others and the law: Despite knowing that speeding is dangerous, illegal, and can cause harm to self or others, some drivers still choose to drive too fast simply because they like it. Studies indicate that these people often also have trouble obeying rules and respecting the safety and welfare of other people in other areas of their lives.
  • Peer pressure: Particularly with teenage drivers, the chances of getting into an accident are higher when there are other teens in the vehicle. This is a result of the distraction that having a friend in the car creates, which is especially dangerous when combined with driving skills that are still developing. The element of peer pressure is also a factor in why teen drivers choose to speed. This pressure can come not only from the teens in the car, but from passengers of other vehicles who may encourage the teen driver to race or drive faster than the conditions of the road allow.
  • Alcohol impairment: Alcohol creates deficits in the skills needed to drive safely. One of the deficits created by impairment is the ability to control one’s speed. Judgment is also affected, making it less likely for a driver to understand the consequences of his or her choice to speed.

Legal Liability for Hempstead Speed-Related Traffic Accidents

Hempstead drivers who speed put themselves and others at unreasonable risk of serious and fatal injury. Under New York law, that makes the drivers potentially liable to victims injured in a speeding-related crash.

Speeding drivers are not the only ones who might face legal liability to crash victims, however.

Others may also have a legal obligation to answer for the speeding driver’s conduct, including:

  • Employers of drivers who get into a speeding-related accident while driving a vehicle for work. In New York, employers have a general obligation to answer for their employees’ actions, especially if the employers knew the employee tended to speed.
  • Bars and restaurants that served alcohol to a driver who was visibly intoxicated or under 21, and who then caused a speeding-related drunk driving accident.
  • Automotive manufacturers whose defective cars or car parts contributed to the driver losing control and crashing at high speed.
  • Others whose decisions or actions led to an unreasonable danger of a speeding-related accident. For example, even a city government could face legal liability for failing to take reasonable measures to regulate speed on a dangerous stretch of road where a speeding-related crash occurred.

Talk to an experienced Hempstead car accident injury attorney today about who may owe you compensation for injuries you suffered in a speeding-related accident.

Determining a Safe Speed on Hempstead’s Roads

A common argument by many people who choose to speed on roadways in New York and throughout the U.S. is that the speed limits are too slow.

Materials data that have nothing to do with the article:
~~~
No. 1
NaCdAs2O8: optimized geometry, PBE.

Properties
Raw total energy (eV/atom): -5.1043
Calculated density (g/cm3): 3.63
ΔE_f (raw) (eV per atom): -0.84

Cell lengths 5.7924, 5.7924, 6.5037 Å; angles 90.00, 90.00, 120.00 degrees
Space group P-3 (No. 147)
Symmetry-distinct sites (fractional):
1 Na 0.0000 0.0000 0.0000 [1 per cell]
2 Cd 0.0000 0.0000 0.5000 [1 per cell]
3 As 0.3333 0.6667 0.6572 [2 per cell]
4 O 0.1178 0.3453 0.7345 [6 per cell]
5 O 0.3333 0.6667 0.3856 [2 per cell]

=====

No. 2
NaCdAsO4: optimized geometry, PBE.

Properties
Raw total energy (eV/atom): -5.1793
Calculated density (g/cm3): 5.08
ΔE_f (raw) (eV per atom): -1.36

Cell lengths 6.122, 6.585, 8.892 Å; angles 90.00, 90.00, 90.00 degrees
Space group Imma (No. 74)
Symmetry-distinct sites (fractional):
1 Na 0.250 0.250 0.250 [4 per cell]
2 Cd 0.000 0.000 0.000 [4 per cell]
3 As 0.000 0.250 0.631 [4 per cell]
4 O 0.000 0.031 0.736 [8 per cell]
5 O 0.229 0.250 0.512 [8 per cell]

=====

No. 3
NaCdAsO3: optimized geometry, PBE.

Properties
Raw total energy (eV/atom): -4.7975
Calculated density (g/cm3): 4.17
ΔE_f (raw) (eV per atom): -1.17

Cell lengths 7.809, 3.237, 8.167 Å; angles 90.00, 94.83, 90.00 degrees
Space group P2_1/m (No. 11)
Symmetry-distinct sites (fractional):
1 Na 0.100 0.250 0.354 [2 per cell]
2 Cd 0.169 0.250 0.976 [2 per cell]
3 As 0.389 0.750 0.660 [2 per cell]
4 O 0.110 0.750 0.146 [2 per cell]
5 O 0.189 0.750 0.563 [2 per cell]
6 O 0.374 0.250 0.798 [2 per cell]

=====

No. 4
Na2CdAsP: optimized geometry, PBE.

Properties
Energy relative to the elements (kcal/mol of atoms): 3.67
Raw total energy (eV/atom): -2.5635
Calculated density (g/cm3): 3.08

Cell lengths 5.401, 5.401, 4.879 Å; angles 90.00, 90.00, 90.00 degrees
Space group P4/mmm (No. 123)
Symmetry-distinct sites (fractional):
1 Na 0.000 0.500 0.000 [2 per cell]
2 Cd 0.000 0.000 0.500 [1 per cell]
3 As 0.500 0.500 0.500 [1 per cell]
4 P 0.000 0.000 0.000 [1 per cell]

=====

No. 5
NaCdAsPd: optimized geometry, PBE.

Properties
Energy relative to the elements (kcal/mol of atoms): -4.53
Raw total energy (eV/atom): -3.2157
Calculated density (g/cm3): 7.10

Cell lengths 6.666, 6.666, 6.666 Å; angles 90.00, 90.00, 90.00 degrees
Space group F-43m (No. 216)
Symmetry-distinct sites (fractional):
1 Na 0.000 0.000 0.000 [4 per cell]
2 Cd 0.250 0.250 0.750 [4 per cell]
3 As 0.250 0.250 0.250 [4 per cell]
4 Pd 0.000 0.000 0.500 [4 per cell]

=====

No. 6
Na2CdAs2Pd5: optimized geometry, PBE.

Properties
Energy relative to the elements (kcal/mol of atoms): -8.61
Raw total energy (eV/atom): -4.2551
Calculated density (g/cm3): 7.65

Cell lengths 10.252, 10.252, 3.471 Å; angles 90.00, 90.00, 90.00 degrees
Space group P4/mbm (No. 127)
Symmetry-distinct sites (fractional):
1 Na 0.173 0.327 0.000 [4 per cell]
2 Cd 0.000 0.000 0.000 [2 per cell]
3 As 0.129 0.629 0.000 [4 per cell]
4 Pd 0.000 0.500 0.500 [2 per cell]
5 Pd 0.064 0.793 0.500 [8 per cell]
~~~

To understand how to determine the safe speed for a particular roadway, you should first understand the several different types of speed limits:

  • Statutory speed limits: Statutory speed limits are speed limits that are established by state legislators for specific types of roads. For example, a state might set its statutory speed limit in residential areas and school zones as 25 miles per hour, or set a speed limit of 70 miles per hour on rural interstate roadways. This is the speed that all roads of that type will be set to unless a local municipality chooses to reduce that speed limit in certain areas.
  • Posted speed limits: Also known as regulatory speed limits, posted speed limits are speeds that are posted on a sign along the roadway. This speed limit could be the same as a statutory limit or the posted speed can vary from the statutory speed to meet a specific purpose or to slow traffic down in a specific area of a municipality.
  • Special condition speed limits: Local government officials can create a special speed limit for certain locations or events to slow traffic down due to a potentially hazardous situation. For example, a school zone is a special condition speed limit that forces traffic to slow down for the safety of children and parents who are crossing the street. A work zone is a special condition speed limit that slows traffic down through construction areas where people are working or operating heavy equipment near the road.
  • Variable speed limits: Variable speed limits are usually noted by digital signage and change the speed limit in an area during a certain time for a specific purpose. An example of this would be a variable speed limit of 10 miles per hour under the typically posted speed limit during inclement weather.
  • Advisory speeds: Advisory speeds are non-regulated reductions in speed in an isolated area of a roadway, such as suggested speed limits during bad weather conditions. The purpose of advisory speeds is to let drivers know a safe traveling speed for the condition ahead.

Traffic engineers determine what constitutes a safe driving speed by collecting and analyzing data that includes:

  • The average speed of motorists on the roadway during normal conditions.
  • Traffic volume.
  • The type of roadway, such as interstate, rural highway, or residential.
  • Roadway features, including curves, hills, and the number of travel lanes.
  • Roadway setting, such as urban, suburban, or rural.
  • The number of driveways or intersections connecting to the roadway.
  • Hazards on the roadway such as on-street parking, or heavy pedestrian or bicycle use.
  • The condition of the pavement on the road.
  • How far in the distance a person can see when traveling on the roadway.
  • Previous crash history on that particular area of the road.

Contrary to popular belief, the federal government is not involved in establishing speed limits, at least not directly. Setting speed limits is the responsibility of state and local officials. Before a road is built, engineers will select a design speed and construct the road to be driven at that speed.

Once a road is built, engineers will monitor the posted speed to ensure that it is appropriate. One of the common ways this is done is by evaluating the average speed at which 85 percent of the drivers using the roadway are traveling. The 85th percentile theory assumes that the majority of drivers will choose the appropriate speed to travel based on the conditions of the road and that this selected speed should be accommodated.

Lawyers for Hempstead speeding-related crash victims will often rely on studies and data to explain how the driver who caused the accident had traveled at an unreasonably dangerous speed.

Injured by a High-Speed Accident in Hempstead?

Victims of Hempstead speeding-related traffic accidents often have the right to receive significant compensation for their injuries and losses.

By taking legal action with the help of an experienced Hempstead motor vehicle accident injury attorney, those victims may have the opportunity to recover financial compensation to pay for:

  • Medical expenses
  • Lost wages
  • Loss of future earning capacity
  • The cost of repairing or replacing the vehicle that was damaged in the accident
  • Pain and suffering
  • Emotional distress
  • Loss of the enjoyment of life

There is no guarantee that a Hempstead speeding-related accident victims will recover compensation in a lawsuit, but hiring an experienced Hempstead car accident injury attorney usually gives victims the best possible chance of obtaining the money they deserve.

To learn about your rights after suffering injuries in a Hempstead speeding-related traffic accident, contact an experienced Hempstead car accident injury attorney today for a free case evaluation.